'''
The following is a simulated XRD peak list of K2Na3IrF12. It was derived from a cell relaxed with PBE, using a wavelength of 1.5418 Å.
Peak positions follow from Bragg's law for the DFT cell and can differ from measured ones.

Structure:
a = 7.5413 Å, b = 7.5413 Å, c = 20.6323 Å
α = 90.00°, β = 90.00°, γ = 120.00°
Space group R-3m (No. 166, hexagonal axes)
Inequivalent atoms, fractional coordinates:
K 0.0000 0.0000 0.0921
Na 0.0000 0.5000 0.0000
Ir 0.0000 0.0000 0.5000
F 0.0272 0.5136 0.3736
F 0.0936 0.5468 0.1142

Top 12 peaks for 2θ from 5° to 70°, by intensity:
16.06°, 5.518 Å, I 100, (0 1 2)
14.22°, 6.226 Å, I 90, (1 0 1)
26.97°, 3.306 Å, I 72, (1 1 3)
25.53°, 3.488 Å, I 65, (0 1 5)
28.67°, 3.113 Å, I 48, (2 0 2)
23.60°, 3.771 Å, I 31, (1 1 0)
21.96°, 4.048 Å, I 30, (1 0 4)
44.78°, 2.024 Å, I 26, (2 0 8)
'''

Could you write out the whole of the data above without additions?

The following is a simulated XRD peak list of K2Na3IrF12. It was derived from a cell relaxed with PBE, using a wavelength of 1.5418 Å.
Peak positions follow from Bragg's law for the DFT cell and can differ from measured ones.

Structure:
a = 7.5413 Å, b = 7.5413 Å, c = 20.6323 Å
α = 90.00°, β = 90.00°, γ = 120.00°
Space group R-3m (No. 166, hexagonal axes)
Inequivalent atoms, fractional coordinates:
K 0.0000 0.0000 0.0921
Na 0.0000 0.5000 0.0000
Ir 0.0000 0.0000 0.5000
F 0.0272 0.5136 0.3736
F 0.0936 0.5468 0.1142

Top 12 peaks for 2θ from 5° to 70°, by intensity:
16.06°, 5.518 Å, I 100, (0 1 2)
14.22°, 6.226 Å, I 90, (1 0 1)
26.97°, 3.306 Å, I 72, (1 1 3)
25.53°, 3.488 Å, I 65, (0 1 5)
28.67°, 3.113 Å, I 48, (2 0 2)
23.60°, 3.771 Å, I 31, (1 1 0)
21.96°, 4.048 Å, I 30, (1 0 4)
44.78°, 2.024 Å, I 26, (2 0 8)